(A)   Generally. A landscaping plan is required for all uses which require site plan review. The landscaping plan must be done in coordination with vehicular and pedestrian traffic movement and consider issues of safety and security in design.
   (B)   Purpose. The city requires the use of landscaping in recognition of the value of landscaping to preserve and enhance the area's image, promote the retention and use of existing vegetation, safeguard property values, protect public and private investments, and promote high-quality developments and promote the compatibility between land uses by reducing the visual, noise, and lighting impacts of specific development on users of the site and abutting uses.
   (C)   Submittal requirements. The following items are required for a complete landscape plan:
      (1)   Plans should be submitted at the same scale as the overall site plan;
      (2)   Location, general type, and quality of existing vegetation, including specimen trees and size;
      (3)   Existing vegetation to be saved and size;
      (4)   Methods and details for protecting existing vegetation during construction;
      (5)   Locations and labels for all proposed plants;
      (6)   Plant lists or schedules showing the required and proposed quantities and planting sizes;
      (7)   Location and description of other landscape improvements, such as earth berms, walls, fences, screens, sculptures, fountains, street furniture, lights, and courts or paved areas;
      (8)   Planting and installation details as necessary to ensure conformance with all required standards; and
      (9)   Description of street trees proposed or existing in the public right-of-way as regulated by the Shade Tree Commission. Street trees in public rights-of-way shall not be considered required landscaping for compliance with this chapter.
   (D)   Landscaping and screening standards.
      (1)   Landscaped frontage strips of sites requiring site plan review and general requirements.
         (a)   General requirements. The landscaping strip shall extent along the street frontage of these sites and may be pierced by access ways to the extent necessary to comply with applicable ordinances. The landscaped strips can be of a varying width, not be less than ten feet in width. All street frontage areas including the both frontage areas on a corner lot shall be required to include landscape strips on the frontage.
         (b)   Minimum planting requirements. One shade tree and ten shrubs per 50 feet of linear street frontage. The width of access ways which pierce the strip shall be included in the calculation of lineal dimensions. Commercial and industrial zones should include landscape breaks to insure a clear line of sight from the public right-of-way for safety and security.
         (c)   Supplemental landscape requirements; spacing of trees. Trees in a perimeter landscape strip may be planted singly or in clusters. Clusters of trees shall be avoided in the interior of parking lots to increase safety and security.
         (d)   General landscape barrier. The Planning Commission may impose a general landscape barrier. A hedge, wall, fence, berm, or other landscape barrier shall be located within the perimeter landscape strip. Unless otherwise provided in this section, the barrier shall be not less than three feet in height.
         (e)   Living and nonliving barriers. If walls, fences, or other nonliving barriers are used as elements of the landscape barrier; shrubs or vines shall be planted as determined by the Planning Commission to be meet the purpose of this section.
         (f)   Earth berms. Earth berms may be used only when installed in conjunction with sufficient plant material to satisfy the provisions of this section. The slope of a berm shall not exceed a ratio of 3:1.
         (g)   Additional landscape treatment. The remainder of the perimeter landscape strip shall be landscaped with grass, ground cover, or other appropriate landscape treatment. Sand or pavement shall not be considered to be appropriate landscape treatment unless approved by the Planning Commission.
      (2)   Parking lot landscaping.
         (a)   Perimeter parking lot landscaping for rear and side yards. For sites larger than 10,000 square feet, the strip must be a minimum of ten feet wide. For sites smaller than 10,000 square feet, the strip must be a minimum of five feet wide. One tree and three shrubs are required for 50 feet of perimeter. Alternately, the applicant may preserve at least 25 feet of existing woodlands. Existing woodlands must be preserved to the extent possible. Preservation of existing woodlands in lieu of planting requirements shall be at the discretion of the Planning Commission.
         (b)   Interior parking lot landscaping. One planting island for every 20 parking spaces. In very large lots of 50,000 square feet or more, fewer, but larger islands may be appropriate to provide greater visual relief and create an environment more conducive for healthy tree growth.
         (c)   Planting islands. A safe site distance at vehicular entrances must be maintained. The trees must have a clear trunk at least six feet above the finished grade to allow vehicular circulation and a clear line of sight beneath the tree canopy without causing any damage. No tree planting area may be less than five feet wide in any dimension for traffic control.
_Materials data that have nothing to do with the article_
[1]
An optimized crystal structure of Na2La8SiS11O48, computed with GGA-PBE.

Results
ΔE_f in meV/atom: -2685
Crystal system: triclinic
Size of the total moment in μB/cell: 0.00
Volume in Å³/atom: 19.3

abc: 19.2756 9.6336 25.2258
angles: 89.99 90.01 120.04
Atoms (fractional coordinates):
O 0.0075 0.8281 0.4135
O 0.8434 0.5391 0.2444
O 0.9026 0.7790 0.2978
O 0.8924 0.8000 0.2020
O 0.2334 0.1240 0.6307
O 0.9889 0.1803 0.5868
O 0.7394 0.1285 0.9219
O 0.4072 0.0199 0.0893
O 0.4405 0.3561 0.6307
O 0.7615 0.8808 0.0763
O 0.0047 0.2081 0.2021
O 0.4871 0.1908 0.2985
O 0.7252 0.1417 0.5351
O 0.7393 0.3557 0.4199
O 0.9306 0.3063 0.5348
O 0.3461 0.5411 0.2463
O 0.0959 0.9765 0.9120
O 0.6559 0.4512 0.7548
O 0.3953 0.9897 0.7017
O 0.1068 0.1910 0.0914
O 0.4301 0.5553 0.0360
O 0.0616 0.6493 0.3631
O 0.5996 0.9841 0.2030
O 0.7281 0.3064 0.7446
O 0.1044 0.0263 0.5857
O 0.9155 0.5183 0.7479
O 0.1794 0.8841 0.8693
O 0.4055 0.7845 0.2987
O 0.2623 0.6428 0.5755
O 0.1787 0.4778 0.0760
O 0.0709 0.6825 0.4693
O 0.2255 0.3093 0.0358
O 0.5111 0.8066 0.4089
O 0.6036 0.1830 0.0888
O 0.0574 0.4736 0.8691
O 0.6075 0.0250 0.2987
O 0.3960 0.8119 0.9140
O 0.2267 0.1418 0.5349
O 0.6583 0.4534 0.4637
O 0.7639 0.6412 0.8688
O 0.4403 0.5338 0.1316
O 0.3947 0.9834 0.4086
O 0.2739 0.6832 0.9652
O 0.1112 0.0287 0.2975
O 0.5591 0.6420 0.3679
O 0.8943 0.9792 0.4123
O 0.4271 0.3494 0.9194
O 0.3454 0.1504 0.7442
O 0.2409 0.3513 0.4205
O 0.5699 0.4524 0.2578
O 0.2753 0.8610 0.7550
O 0.9855 0.7918 0.8034
O 0.2766 0.8701 0.4638
O 0.4253 0.3101 0.2460
O 0.5632 0.4755 0.8639
O 0.0056 0.8051 0.6977
O 0.2375 0.3577 0.1310
O 0.8446 0.5525 0.5344
O 0.4374 0.5170 0.4198
O 0.4885 0.7944 0.0897
O 0.9259 0.5026 0.4191
O 0.9418 0.3453 0.6304
O 0.6776 0.4759 0.3680
O 0.5079 0.1859 0.9144
O 0.8932 0.8068 0.9118
O 0.4294 0.3093 0.5355
O 0.1606 0.8651 0.9651
O 0.1781 0.4670 0.3683
O 0.7650 0.8785 0.3681
O 0.0951 0.2089 0.4124
O 0.7730 0.6868 0.2564
O 0.9067 0.7961 0.5856
O 0.5699 0.4570 0.9704
O 0.5938 0.9804 0.9130
O 0.0760 0.6838 0.7586
O 0.8219 0.1190 0.1312
O 0.5701 0.6909 0.7551
O 0.0104 0.2133 0.9110
O 0.3937 0.8003 0.2030
O 0.1601 0.4553 0.7571
O 0.5075 0.2154 0.2028
O 0.3468 0.1387 0.0358
O 0.3255 0.1167 0.1314
O 0.5667 0.6803 0.4638
O 0.3222 0.5250 0.6307
O 0.2315 0.3101 0.7458
O 0.3234 0.1298 0.4204
O 0.8417 0.1458 0.7466
O 0.0702 0.4491 0.2549
O 0.1578 0.8630 0.2548
O 0.6770 0.8881 0.8689
O 0.2404 0.1249 0.9219
O 0.6062 0.0229 0.5903
O 0.4877 0.1888 0.5906
O 0.7334 0.3438 0.1316
O 0.2310 0.1523 0.2443
O 0.8453 0.1432 0.0361
O 0.3460 0.5488 0.5356
O 0.5594 0.4761 0.5759
O 0.8196 0.1211 0.4198
O 0.4251 0.5409 0.7452
O 0.9252 0.3091 0.2451
O 0.6777 0.8799 0.5749
O 0.8902 0.9848 0.7029
O 0.2670 0.6525 0.8688
O 0.1793 0.8845 0.5778
O 0.0601 0.6434 0.0761
O 0.7737 0.6787 0.9649
O 0.5048 0.8006 0.7022
O 0.2745 0.6881 0.2578
O 0.9054 0.0253 0.0910
O 0.0606 0.4701 0.5764
O 0.9292 0.5495 0.0360
O 0.5983 0.2102 0.7018
O 0.7244 0.3071 0.0358
O 0.3215 0.5206 0.9214
O 0.1026 0.2188 0.7024
         (d)   Safety and security. Interior parking lot plantings shall not include any shrub which would exceed 24 inches in height at maturity and no clustering of trees shall be permitted in planting islands.
   (E)   Plant materials.
      (1)   Shrub and ground cover. All required ground cover plants and shrubs must be of sufficient size and number to meet the required standards within three years of planting. Mulch (as a ground cover) must be confined to areas underneath plants and is not a substitute for ground cover plants. Trees may be deciduous or evergreen. Deciduous trees at the time of planting must have a minimum diameter of three inches, measured five feet above the ground, and have a minimum height of eight feet. Evergreen trees at the time of planting must be a minimum of six feet in height.
      (2)   Existing vegetation. Existing landscaping or natural vegetation may be used to meet the standards, if protected and maintained during the construction phase of the development. When the existing trees are at least 12 inches in diameter, measured five feet above the ground, they may count triple towards meeting the tree requirements of a landscaping standard. Landscape materials should be selected and sited to produce a hardy and drought-resistant landscape area. Selection should include consideration of soil-type and depth, the amount of maintenance required, spacing, exposure to sun and wind, the slope and contours of the site, and compatibility with existing native vegetation preserved on the site. Prohibited plants include plants identified by the Planning Director as potentially damaging to sidewalks, roads, underground utilities, drainage improvements, foundations, and the like. Fruit-bearing trees are prohibited.
      (3)   Exceeding standards. Landscaping materials that exceed the standards may be substituted for the minimums so long as all fence or vegetation height limitations are met, including the vision clearance standards as required by engineering or safety departments.
   (F)   Approval. Approval of the landscape plan is subject to the approval of the site plan by the procedures set forth in city's ordinances. See § 154.070, Site Plan Review; Conformance.
   (G)   Installation and maintenance. Plant material must be installed to current nursery industry standards. Plant materials must be properly supported to ensure survival. Support devices such as guy wires or stakes must not interfere with vehicular or pedestrian movement. Maintenance of landscaped areas is the on-going responsibility of the property owner. Required landscaping must be continuously maintained in a healthy manner. Plants that die must be replaced in kind.
   (H)   Completion of landscaping. The required landscaping must be installed prior to the issuance of a final certificate of occupancy. See § 154.070, Site Plan Review; Conformance and § 154.075, Certificate of Occupancy.
   (I)   Planning Commission discretion. The Planning Commission may vary these requirements when deemed appropriate. Such variation must be requested by the applicant prior to consideration of plan approval.
('65 Code, § 1323.26) (Ord. 98-073, passed 7-21-98)